
Revenue Type Cross Reference

Select Configuration > Cashiering > Revenue Type Cross Reference to display the Revenue Type Cross Reference screen. (This menu item is visible only when the Catering > Catering Events application function is set to Y or when the WCC_XXX or WCS_XXX license code is active.) Use this feature to associate revenue types (per event type/location) with a transaction code. These cross references are applied when posting event charges (see Posting Event Charges for details) and when generating the Pro Forma Invoice Generates Report (rep_proforma_invoice.rep with rep_proforma_generates.fmx).

Search Criteria

Property. This field is visible when the OPP_MHT2 Multi-Property add-on license code is marked as Active. In the Property list of values, OPERA displays the properties with activated multi-property licenses' codes allowing you to switch between properties that have been configured in this property cluster (via the Property Details > Alternates Tab).

Rev. Type. Enter appropriate revenue type codes; separate entries with a comma, no spaces (such as BEV,FOOD). Or, select the down arrow to choose from the available list of values.

Event Type. Enter event type codes; separate entries with a comma, no spaces (such as BRK,LUN). Or, select the down arrow to choose from the available list of values.

Location. Enter function space room or function space type codes; separate entries with a comma, no spaces (such as CONF,SPA-E8). Or, select the down arrow to choose from the available list of values.


Property. Property where this cross reference is applicable. Available when the OPP_MHT2 Multi-property add-on license is active.

Rev. Type. Revenue type associated with the revenue type cross reference.

Event Type. Event type associated with the revenue type cross reference.

Location. Function space associated with the revenue type cross reference.

Trx. Code (Transaction Code). Transaction code associated with the revenue type cross reference.

Cat (Catering Only). An N in this field indicates a revenue type cross reference that is not catering only (cross reference applies when Catering Only is not selected on the business block). A Y indicates a catering only revenue type cross reference (cross reference applies when Catering Only is selected on the business block). B indicates the revenue cross reference is applicable to both types of business blocks.

SC (Service Charge %). The Service Charge associated with the revenue type cross reference, displayed in percentage.

Trx. Code (Service Charge Transaction Code). The transaction code to which the service charge is to be posted.

Calc (Service Charge Calculation Method). The calculation method, either Net or Gross, on which the service charge computation was based.

Creating or Editing Revenue Type Cross References

Select New to create a code and all its relevant information, or highlight an entry and select Edit to change any of the attributes for this cross reference. The Revenue Type Cross Reference - New or Edit screen appears. Each revenue type cross reference record must be unique based on the Property, Revenue Type, Catering Only, Event Type, and Location.

Property. View only. The property for which you are setting up the revenue type cross reference.

Revenue Type. This field is used to assign a revenue type to the transaction code. Enter the appropriate code or select one from the available list of values.

Catering Only. Select Yes if the revenue type cross reference applies to Catering Only business blocks; select No if the revenue type cross reference applies to non-Catering Only business blocks only; select Both if the revenue type cross reference applies to both types of business blocks.

Event Type. Select the down arrow to choose an event types associated with the revenue type cross reference. For example, ‘MTG’ for meeting, ‘LUN’ for lunch, etc.

Location. Select the down arrow to choose a function spaces that are associated with the revenue type cross reference. The LOV lists all function spaces and all function space locations. If a function space location is selected, then all function spaces configured for that location will be considered when selecting the appropriate transaction code for posting.

Records of crystals, kept here for reference =
~~~
Mo | the Materials Project database | PBE | relaxed; crystal system = monoclinic; energy above the lowest structure with this stoichiometry = 0.40 eV/f.u.; space-group type = No. 13; ΔH_f (0 K) = 0.399 eV per atom; calculated total energy = -10.447 eV/atom
1.0
9.6483 0.0000 0.0000
0.0000 3.0630 0.0000
-3.9638 0.0000 8.9660
Mo
16
Cartesian
-0.0852 0.7525 1.1313 Mo
-2.0670 2.3105 5.6143 Mo
-1.6981 0.7830 8.1393 Mo
0.2838 2.2800 3.6563 Mo
2.2260 0.7455 2.0559 Mo
0.2442 2.3175 6.5389 Mo
2.0202 0.7708 5.1673 Mo
4.0021 2.2922 0.6843 Mo
1.6825 0.7708 8.2818 Mo
3.6643 2.2922 3.7987 Mo
5.4404 0.7455 2.4271 Mo
3.4585 2.3175 6.9101 Mo
5.4007 0.7830 5.3097 Mo
7.3826 2.2800 0.8267 Mo
7.7516 0.7525 3.3517 Mo
5.7697 2.3105 7.8347 Mo

=====

Ag6HgP20I2: relaxed, PBE.

Values from the calculation:
The calculation puts the total moment at 0.000 μB/atom. As for the energy relative to the elements: -0.08 eV per atom.

a = 28.088 Å, b = 6.795 Å, c = 7.454 Å
α = 65.92°, β = 90.00°, γ = 90.00°
Atoms (fractional coordinates):
1 Ag 0.154 0.097 0.979
2 Ag 0.654 0.903 0.021
3 Ag 0.846 0.903 0.019
4 Ag 0.346 0.097 0.981
5 Ag 0.071 0.160 0.433
6 Ag 0.571 0.840 0.567
7 Ag 0.930 0.842 0.571
8 Ag 0.430 0.158 0.429
9 Ag 0.250 0.847 0.578
10 Ag 0.750 0.153 0.422
11 Ag 0.009 0.145 0.977
12 Ag 0.509 0.855 0.023
13 Hg 0.250 0.476 0.168
14 Hg 0.750 0.524 0.832
15 P 0.168 0.720 0.720
16 P 0.668 0.280 0.280
17 P 0.832 0.278 0.281
18 P 0.332 0.722 0.719
19 P 0.936 0.292 0.093
20 P 0.436 0.708 0.907
21 P 0.062 0.712 0.912
22 P 0.562 0.288 0.088
23 P 0.170 0.446 0.019
24 P 0.670 0.554 0.981
25 P 0.830 0.553 0.981
26 P 0.330 0.447 0.019
27 P 0.993 0.352 0.466
28 P 0.493 0.648 0.534
29 P 0.006 0.650 0.526
30 P 0.506 0.350 0.474
31 P 0.117 0.950 0.748
32 P 0.617 0.050 0.252
33 P 0.882 0.045 0.255
34 P 0.382 0.955 0.745
35 P 0.106 0.499 0.167
36 P 0.606 0.501 0.833
37 P 0.894 0.501 0.831
38 P 0.394 0.499 0.169
39 P 0.129 0.519 0.596
40 P 0.629 0.481 0.404
41 P 0.871 0.476 0.405
42 P 0.371 0.524 0.595
43 P 0.047 0.892 0.291
44 P 0.547 0.108 0.709
45 P 0.956 0.110 0.714
46 P 0.456 0.890 0.286
47 P 0.059 0.488 0.761
48 P 0.559 0.512 0.239
49 P 0.940 0.523 0.234
50 P 0.440 0.477 0.766
51 P 0.117 0.758 0.285
52 P 0.617 0.242 0.715
53 P 0.884 0.239 0.716
54 P 0.384 0.761 0.284
55 I 0.250 0.269 0.591
56 I 0.750 0.731 0.409
57 I 0.250 0.927 0.164
58 I 0.750 0.073 0.836

=====

# BaSrCoWO6 PBE with a Hubbard U optimized geometry
# Calculated volume (Å³/atom): 13.518
# Energy of formation (eV per formula unit): -25.78
# Spin magnetization (μB per formula unit): 3.00
data_BaSrCoWO6
_chemical_formula_sum 'Ba2 Sr2 Co2 W2 O12'
_symmetry_space_group_name_H-M 'I m m 2'
_symmetry_Int_Tables_number 44
_symmetry_space_group_name_Hall 'I 2 -2'
_cell_length_a 5.7581
_cell_length_b 5.7758
_cell_length_c 8.1294
_cell_angle_alpha 90.00
_cell_angle_beta 90.00
_cell_angle_gamma 90.00
loop_
_atom_site_label
_atom_site_type_symbol
_atom_site_fract_x
_atom_site_fract_y
_atom_site_fract_z
Ba1 Ba 0.0000 0.0000 0.0000
~~~
End of the records of crystals =

Transaction Code. Select the transaction code to which the charges for the selected revenue type, event type, and location should be posted. Only transaction codes configured for Manual Posting will be displayed.

Service Charge

The service charge section allows you to add a service charge generate to the revenue covered by the revenue type cross reference. This will not configure a generate for the selected transaction code, but will act as a generate when posting from events or generating the Pro Forma Invoice Generates Report.

Unrelated to this entry: materials data
- - -
Compound: Cu2AgO4
Source: Materials Project
Functional: meta-GGA r2SCAN
Structure: relaxed

Cell lengths 3.6171, 4.6125, 5.2465 Å; angles 82.26, 86.68, 82.57 degrees
Fractional positions:
Cu (0.0000, 0.5000, 0.5000)
O (0.6933, 0.7491, 0.2715)
Cu (0.5000, 0.0000, 0.5000)
O (0.8293, 0.7782, 0.7186)
Ag (0.0000, 0.0000, 0.0000)
O (0.1707, 0.2218, 0.2814)
O (0.3067, 0.2509, 0.7285)

Computed properties:
Formation energy ... -0.46 eV per atom

=====

# 1
# La4FeSe6O (PBE+U, optimized geometry)
# ΔE_f in kJ/mol of atoms: -192.74
# Total magnetic moment in μB per atom: 0.333
# Mass density in g/cm³: 6.2
# Uncorrected energy in eV/atom: -6.2639
# Total energy after the MP2020 corrections in Ry/atom: -0.478
data_La4FeSe6O
_chemical_formula_sum 'La8 Fe2 Se12 O2'
_symmetry_space_group_name_H-M 'P 1'
_symmetry_Int_Tables_number 1
_symmetry_space_group_name_Hall 'P 1'
_cell_length_a 9.7944
_cell_length_b 9.7944
_cell_length_c 7.1145
_cell_angle_alpha 90.00
_cell_angle_beta 90.00
_cell_angle_gamma 120.00
loop_
_atom_site_label
_atom_site_fract_x
_atom_site_fract_y
_atom_site_fract_z
La1 0.1994 0.3988 0.0000
La2 0.1994 0.8006 0.0000
La3 0.3333 0.6667 0.5483
La4 0.3988 0.1994 0.5000
La5 0.6012 0.8006 0.0000
La6 0.6667 0.3333 0.0483
La7 0.8006 0.1994 0.5000
La8 0.8006 0.6012 0.5000
Fe1 0.0000 0.0000 0.3324
Fe2 0.0000 0.0000 0.8324
Se1 0.0588 0.5294 0.2862
Se2 0.1232 0.2463 0.6043
Se3 0.1232 0.8768 0.6043
Se4 0.2463 0.1232 0.1043
Se5 0.4706 0.5294 0.2862
Se6 0.4706 0.9412 0.2862
Se7 0.5294 0.0588 0.7862
Se8 0.5294 0.4706 0.7862
Se9 0.7537 0.8768 0.6043
Se10 0.8768 0.1232 0.1043
Se11 0.8768 0.7537 0.1043
Se12 0.9412 0.4706 0.7862
O1 0.3333 0.6667 0.8835
O2 0.6667 0.3333 0.3835

# 2
# MgV4Ge4O16 (PBE+U, optimized geometry)
# ΔE_f in kJ/mol of atoms: -201.90
# Total magnetic moment in μB per atom: 0.175
# Mass density in g/cm³: 5.1
# Uncorrected energy in eV/atom: -6.8047
# Energy above the most stable polymorph in this dataset in eV per formula unit: 2.19
# Total energy after the MP2020 corrections in Ry/atom: -0.552
data_MgV4Ge4O16
_chemical_formula_sum 'Mg1 V4 Ge4 O16'
_symmetry_space_group_name_H-M 'P 1'
_symmetry_Int_Tables_number 1
_symmetry_space_group_name_Hall 'P 1'
_cell_length_a 4.5484
_cell_length_b 4.7683
_cell_length_c 11.5673
_cell_angle_alpha 90.02
_cell_angle_beta 90.14
_cell_angle_gamma 90.53
loop_
_atom_site_label
_atom_site_fract_x
_atom_site_fract_y
_atom_site_fract_z
Mg1 0.0000 0.0000 0.0000
V1 0.0038 0.0087 0.5033
V2 0.0037 0.5082 0.3693
V3 0.4921 0.5014 0.8665
V4 0.4999 0.0139 0.9982
Ge1 0.5028 0.0087 0.2591
Ge2 0.5057 0.5097 0.6143
Ge3 0.9968 0.5048 0.1254
Ge4 0.9974 0.9985 0.7473
O1 0.2269 0.8380 0.6230
O2 0.2323 0.3404 0.2467
O3 0.2344 0.8446 0.8697
O4 0.2369 0.3437 0.0071
O5 0.2522 0.8345 0.3716
O6 0.2533 0.3351 0.4953
O7 0.2678 0.8429 0.1272
O8 0.2821 0.3335 0.7388
O9 0.7273 0.6777 0.7376
O10 0.7424 0.1717 0.1294
O11 0.7517 0.6660 0.0041
O12 0.7533 0.1819 0.3721
O13 0.7532 0.6809 0.4945
O14 0.7609 0.1609 0.8709
O15 0.7727 0.6758 0.2464
- - -
The materials data stop here

Note: If the main transaction code has a service charge generate already attached to it, it might not be necessary to specify a service charge in the Service Charge section. If the main transaction code has a service charge generate, and a service charge is configured in this section, two service charges will be calculated when posting the event from S&C for this revenue type cross reference and when generating the Pro Forma Invoice Generates Report.

%. Enter the percentage of the service charge. Negative percentages and percentages greater than 100 are not allowed.

Transaction Code. This field is enabled when a percentage is entered into the % field. Select the down arrow to choose the transaction code to which the service charge indicated in the % field is to be posted.

Calculation Method. Select Net to calculate the service charge based on the revenue not including tax for the service charge transaction code. Select Gross to calculate the service charge based on the revenue including tax for the service charge transaction code.

Note: The Net/Gross option applies only to the service charge configured in the Service Charge section for the service charge transaction code. It does not apply to any generates that may be configured for the main transaction code.

The TRX Setup button is active when a value has been entered in the Transaction Code or Service Charge Transaction Code field and the cursor is in one of those fields. Select this button to display the Transaction Codes - Edit screen for the service charge.

Copying Revenue Type Cross References

Highlight an entry on the Revenue Type Cross Reference screen and select the Copy button to create a new revenue type cross reference by copying (and modifying) an existing revenue type cross reference. When you select Copy button the Revenue Type Copy screen appears.

Other Event Types(s). Select this option button to copy the cross reference to other event types. The Event Type field appears below. Select the down arrow to choose the event types to copy the cross reference to.

Other Location(s). Select this option button to copy the cross reference to other function spaces. The Location field appears below. Select the down arrow to choose the locations to to copy the cross reference to.

Note: If any of the selected Event Type or Locations would create a duplicate record, a new record for that Event Type or Location will not be created.